重复输出到控制台 – 我必须在哪里插入我的callback?


var databaseUrl = "mydb"; var collections = ["users", "reports"]; var db = require("mongojs").connect(databaseUrl, collections); newuser = { email: "john@example.com", password: "iLoveMongo", sex: "male" }; saveuser = function(user, callback) { db.users.save( user, function( error, saved) { if( error || !saved ) console.log( "User not saved"); else console.log( "User saved" ); callback(); } ); }; removeuser = function() { db.users.remove( { sex: "male" }, function( error, removed) { if( error || !removed ) console.log( "User not deleted"); else console.log( "User deleted" ); } ); }; finduser = function() { db.users.find( { sex: "male" }, function(error, users) { if( error || !users.length ) console.log( "No male Users found"); else { console.log( "male Users found" ); users.forEach( function(maleUser) { console.log(maleUser); } ); } } ) }; updateuser = function() { db.users.update( { email: "john@example.com" }, { $set: { password: "iReallyLoveMongo" } }, function(err, updated) { if( err || !updated ) console.log("User not updated"); else console.log("User updated"); } ); } var options = { 1: { option: "Save a User", execute: saveuser.bind(null, newuser, finduser) }, 2: { option: "Remove a User", execute: removeuser }, 3: { option: "Find a User", execute: finduser }, 4: { option: "Update a User", execute: updateuser } } function read() { console.log(""); console.log(" Enter your choice: "); stdin = process.stdin; stdin.setEncoding('utf8'); stdin.on('data', choice); }; function choice (data) { data = parseInt(data); console.log("You entered: " + data); console.log("You choose to do: " + options[data]["option"]); options[data]["execute"](); }; read(); 

会发生什么事只是在第一个命令popup“input您的select”文本。 您仍然可以input数字并执行其他选项。


 PS C:\Users\Benni\Documents\nodejs> node .\mongotest\app.js Enter your choice: 1 You entered: 1 You choose to do: Save a User User saved male Users found { _id: 5386ba18463a008011fe6213, email: 'john@example.com', password: 'iLoveMongo', sex: 'male' } 3 You entered: 3 You choose to do: Find a User male Users found { _id: 5386ba18463a008011fe6213, email: 'john@example.com', password: 'iLoveMongo', sex: 'male' } 

我想要的是,在每一个成功的命令(在options[data]["execute"]()完成后),“input您的select”再次popup。 喜欢这个:

# These crystal structures were left in the page by mistake
<<<
Structure and calculated X-ray powder pattern of Ba4Si20Au3 (a DFT-relaxed cell (GGA-PBE, Alexandria); copper Kα).
Neutral-atom scattering factors, no anomalous dispersion.

Largest 10 diffraction maxima, by intensity, 15° ≤ 2θ ≤ 90°:
h k l, 2theta, d (Å), I/Imax
3 2 1, 31.87, 2.808, 100
2 2 2, 29.45, 3.033, 58
2 1 1, 20.71, 4.289, 49
4 0 0, 34.14, 2.626, 41
5 3 2, 53.79, 1.704, 38
4 4 0, 49.05, 1.857, 24
2 0 0, 16.88, 5.253, 20
6 3 3, 65.26, 1.430, 18
4 2 0, 38.32, 2.349, 18
2 1 0, 18.89, 4.698, 17

a b c (Å): 10.506 10.506 10.506
angles (deg): 90.00 90.00 90.00
Space group Pm-3n (No. 223)
One atom of each set of equivalent atoms:
Ba 0.000 0.000 0.000 [2 per cell]
Ba 0.000 0.250 0.500 [6 per cell]
Si 0.000 0.304 0.117 [24 per cell]
Si 0.184 0.184 0.184 [16 per cell]
Au 0.000 0.500 0.250 [6 per cell]

Structure and calculated X-ray powder pattern of Tl6PbAu8 (a DFT-relaxed cell (GGA-PBE, Alexandria); copper Kα).
Neutral-atom scattering factors, no anomalous dispersion.

Largest 10 diffraction maxima, by intensity, 15° ≤ 2θ ≤ 90°:
h k l, 2theta, d (Å), I/Imax
2 -1 6, 38.03, 2.366, 100
3 -2 2, 33.19, 2.699, 62
3 -1 1, 31.86, 2.809, 46
3 0 0, 35.75, 2.511, 34
0 1 5, 28.89, 3.090, 20
0 0 6, 31.69, 2.824, 18
0 4 5, 55.88, 1.645, 17
2 2 3, 44.65, 2.029, 16
6 -3 3, 66.59, 1.404, 14
2 2 6, 53.17, 1.723, 13

a b c (Å): 8.6999 8.6999 16.9431
angles (deg): 90.00 90.00 120.00
Space group R-3 (No. 148, hexagonal axes)
One atom of each set of equivalent atoms:
Tl 0.0026 0.2398 0.4050 [18 per cell]
Pb 0.0000 0.0000 0.0000 [3 per cell]
Au 0.0000 0.0000 0.1843 [6 per cell]
Au 0.0066 0.4036 0.5680 [18 per cell]

Structure and calculated X-ray powder pattern of DyPa4Se5 (a DFT-relaxed cell (GGA-PBE, Alexandria); copper Kα).
Neutral-atom scattering factors, no anomalous dispersion.

Largest 10 diffraction maxima, by intensity, 15° ≤ 2θ ≤ 90°:
h k l, 2theta, d (Å), I/Imax
1 0 10, 31.13, 2.873, 100
0 1 20, 43.43, 2.084, 40
1 1 0, 45.76, 1.983, 35
0 1 5, 27.33, 3.264, 28
0 2 10, 56.39, 1.632, 19
1 1 30, 72.03, 1.311, 18
2 1 10, 75.45, 1.260, 16
1 2 20, 83.02, 1.163, 13
2 0 20, 64.92, 1.436, 12
0 0 15, 25.48, 3.495, 11

a b c (Å): 3.9653 3.9653 52.4314
angles (deg): 90.00 90.00 120.00
Space group R-3m (No. 166, hexagonal axes)
One atom of each set of equivalent atoms:
Dy 0.0000 0.0000 0.0000 [3 per cell]
Pa 0.0000 0.0000 0.2000 [6 per cell]
Pa 0.0000 0.0000 0.4004 [6 per cell]
Se 0.0000 0.0000 0.1002 [6 per cell]
Se 0.0000 0.0000 0.3007 [6 per cell]
Se 0.0000 0.0000 0.5000 [3 per cell]

Structure and calculated X-ray powder pattern of Zr6GaPd (a DFT-relaxed cell (GGA-PBE, Alexandria); copper Kα).
Neutral-atom scattering factors, no anomalous dispersion.

Largest 10 diffraction maxima, by intensity, 15° ≤ 2θ ≤ 90°:
h k l, 2theta, d (Å), I/Imax
3 -1 1, 36.57, 2.457, 100
1 2 2, 40.21, 2.243, 74
4 1 0, 63.34, 1.468, 37
2 0 2, 32.60, 2.747, 33
3 -2 5, 60.79, 1.524, 22
6 -3 3, 80.04, 1.199, 19
4 0 4, 68.29, 1.374, 15
4 2 2, 77.74, 1.229, 10
0 5 4, 82.32, 1.171, 9
>>>

 PS C:\Users\Benni\Documents\nodejs> node .\mongotest\app.js Enter your choice: 1 You entered: 1 You choose to do: Save a User User saved male Users found { _id: 5386ba18463a008011fe6213, email: 'john@example.com', password: 'iLoveMongo', sex: 'male' } Enter your choice: 3 You entered: 3 You choose to do: Find a User male Users found { _id: 5386ba18463a008011fe6213, email: 'john@example.com', password: 'iLoveMongo', sex: 'male' } 

我在哪里必须再次调用read()? 如果我把它放在choice的最后,在options[data]["execute"]();之前popup“Enter your choice” options[data]["execute"](); 已经完成了。 如果我把它放在read结束,我得到一个无限循环/超过最大调用堆栈大小。

或者我可以添加callbackoptions[data]["execute"](); ? 就像是

• Between two parts of the article: data records:
/*
# 1
Diffraction record for K2PaAg3Br12. The powder X-ray diffraction pattern is calculated, not measured: it uses a DFT-relaxed cell (PBE, Alexandria) and λ = 1.5418 Å (Cu Kα).
Lines closer than 0.1° are merged.

The 12 most intense peaks (2θ = 10–80°), in order of rising 2θ:
| 2θ/deg | d (Å) | I_rel |
| --- | --- | --- |
| 11.3 | 7.844 | 100 |
| 15.9 | 5.562 | 29 |
| 17.4 | 5.091 | 22 |
| 18.2 | 4.881 | 36 |
| 20.9 | 4.257 | 32 |
| 22.7 | 3.922 | 36 |
| 31.4 | 2.847 | 22 |
| 32.2 | 2.781 | 60 |
| 32.6 | 2.749 | 22 |
| 34.3 | 2.615 | 23 |
| 38.4 | 2.343 | 44 |
| 42.8 | 2.114 | 31 |

Structure:
Lattice parameters (Å, degrees): 11.5302 11.5302 11.5302 47.96 47.96 47.96
Element x y z (fractional)
1 K 0.0697 0.0697 0.0697
2 K 0.9303 0.9303 0.9303
3 Pa 0.5000 0.5000 0.5000
4 Ag 0.0000 0.5000 0.5000
5 Ag 0.5000 0.0000 0.5000
6 Ag 0.5000 0.5000 0.0000
7 Br 0.1682 0.1682 0.5837
8 Br 0.1682 0.5837 0.1682
9 Br 0.1739 0.5864 0.5864
10 Br 0.4136 0.4136 0.8261
11 Br 0.4136 0.8261 0.4136
12 Br 0.4163 0.8318 0.8318
13 Br 0.5837 0.1682 0.1682
14 Br 0.5864 0.1739 0.5864
15 Br 0.5864 0.5864 0.1739
16 Br 0.8261 0.4136 0.4136
17 Br 0.8318 0.4163 0.8318
18 Br 0.8318 0.8318 0.4163



# 2
Diffraction record for KPmAgBr5. The powder X-ray diffraction pattern is calculated, not measured: it uses a DFT-relaxed cell (PBE, Alexandria) and λ = 1.5418 Å (Cu Kα).
Lines closer than 0.1° are merged.

The 12 most intense peaks (2θ = 10–80°), in order of rising 2θ:
| 2θ/deg | d (Å) | I_rel |
| --- | --- | --- |
| 12.3 | 7.203 | 68 |
| 18.2 | 4.885 | 100 |
| 20.6 | 4.314 | 53 |
| 22.4 | 3.976 | 77 |
| 23.5 | 3.784 | 58 |
| 25.9 | 3.437 | 89 |
| 30.3 | 2.950 | 52 |
| 34.1 | 2.633 | 44 |
| 37.5 | 2.401 | 58 |
| 38.4 | 2.343 | 56 |
| 38.5 | 2.337 | 49 |
| 44.0 | 2.057 | 44 |

Structure:
Lattice parameters (Å, degrees): 8.0241 8.0241 10.7937 102.47 102.47 109.18
Element x y z (fractional)
1 K 0.1444 0.8556 0.7500
2 K 0.8556 0.1444 0.2500
3 Pm 0.5000 0.5000 0.0000
4 Pm 0.5000 0.5000 0.5000
5 Ag 0.1876 0.8124 0.2500
6 Ag 0.8124 0.1876 0.7500
7 Br 0.1248 0.2433 0.9445
8 Br 0.1809 0.5743 0.3925
9 Br 0.2433 0.1248 0.4445
10 Br 0.4146 0.5854 0.7500
11 Br 0.4257 0.8191 0.1075
12 Br 0.5743 0.1809 0.8925
13 Br 0.5854 0.4146 0.2500
14 Br 0.7567 0.8752 0.5555
15 Br 0.8191 0.4257 0.6075
16 Br 0.8752 0.7567 0.0555



# 3
Diffraction record for KPr2AgBr8. The powder X-ray diffraction pattern is calculated, not measured: it uses a DFT-relaxed cell (PBE, Alexandria) and λ = 1.5418 Å (Cu Kα).
Lines closer than 0.1° are merged.

The 12 most intense peaks (2θ = 10–80°), in order of rising 2θ:
| 2θ/deg | d (Å) | I_rel |
| --- | --- | --- |
| 16.7 | 5.312 | 86 |
| 18.4 | 4.817 | 53 |
| 23.5 | 3.783 | 36 |
| 26.0 | 3.429 | 86 |
| 27.1 | 3.285 | 38 |
| 28.8 | 3.104 | 44 |
| 33.3 | 2.691 | 30 |
| 33.8 | 2.653 | 100 |
| 35.6 | 2.520 | 47 |
| 37.3 | 2.409 | 26 |
| 40.2 | 2.245 | 35 |
| 42.4 | 2.131 | 65 |

Structure:
Lattice parameters (Å, degrees): 7.0516 8.9817 7.2964 90.00 95.60 90.00
*/

 function( null, read){ options[data]["execute"](); }; 

您所遇到的基本问题是在数据库方法完成之后,您的消息显示应该发生。 你通过callback报告完成,但问题是并不是所有的方法都提供callback来确定何时完成。 现在,即使这样做了, 当您调用方法时您也没有注册callback 。 所以你应该在你所有的函数中定义一个callback参数,然后在你的阅读过程中注册一个callback函数

 newuser = { email: "john@example.com", password: "iLoveMongo", sex: "male" }; saveuser = function(user, callback) { db.users.save( user, function( error, saved) { if( error || !saved ) callback( "User not saved"); else callback(saved); } ); }; removeuser = function(callback) { db.users.remove( { sex: "male" }, function( error, removed) { if( error || !removed ) callback( "User not deleted"); else console.log( "User deleted" ); callback(); } ); }; finduser = function(callback) { db.users.find( { sex: "male" }, function(error, users) { if( error || !users.length ) callback( "No male Users found"); else { console.log( "male Users found" ); callback(null, users); } } ) }; updateuser = function(callback) { db.users.update( { email: "john@example.com" }, { $set: { password: "iReallyLoveMongo" } }, function(err, updated) { if( err || !updated ) callback("User not updated"); else console.log("User updated"); callback(null, updated); } ); } var options = { 1: { option: "Save a User", execute: saveuser.bind(null, newuser) }, 2: { option: "Remove a User", execute: removeuser }, 3: { option: "Find a User", execute: finduser }, 4: { option: "Update a User", execute: updateuser } } function read() { console.log(""); console.log(" Enter your choice: "); stdin = process.stdin; stdin.setEncoding('utf8'); stdin.on('data', choice); }; function choice (data) { data = parseInt(data); console.log("You entered: " + data); console.log("You choose to do: " + options[data]["option"]); options[data]["execute"](function(err, res){ if(err){ console.log(err); } if(res){ if(Array.isArray(res)){ res.forEach(function(item){ console.log(item); }) } else { console.log(res); } } console.log(" Enter your choice: "); }); }; read(); 


这种情况的另一种解决scheme是使用承诺。 这样,您对数据库的调用可以返回一个承诺,稍后您可以使用它来等待适当的响应。

我在这个答案中使用了Q Promises ,但是你可以使用任何你想要的这种types的库。 你可以看到如何在这里得到你的项目的Q.

我们可以从确保你的数据库服务返回一些东西开始,在这种情况下是一个承诺。 对于这个问题,我将使用Q.ninvoke将基于callback的函数变成一个promise。

-- Inserted here: records of crystals --
<<<
No. 1
Starting from a cell relaxed with GGA-PBE, the XRD peak list of Na5As7Pd9 was computed for a wavelength of 1.5418 Å.
Kinematic intensities with the Lorentz-polarization factor, no thermal factor.

Cell and atoms:
```
Na5As7Pd9
1.0
10.2275 0.0000 0.0000
-5.1137 8.8573 0.0000
0.0000 0.0000 4.1815
Na As Pd
5 7 9
Direct
0.0000 0.0000 0.0000
0.1133 0.5624 0.5000
0.4376 0.5509 0.5000
0.4491 0.8867 0.5000
0.6667 0.3333 0.5000
0.0492 0.7974 0.5000
0.2026 0.2518 0.5000
0.3333 0.6667 0.0000
0.4530 0.0914 0.0000
0.6384 0.5470 0.0000
0.7482 0.9508 0.5000
0.9086 0.3616 0.0000
0.1608 0.3743 0.0000
0.2135 0.8392 0.0000
0.2889 0.0625 0.5000
0.3890 0.2935 0.0000
0.6257 0.7865 0.0000
0.7065 0.0955 0.0000
0.7736 0.7111 0.5000
0.9045 0.6110 0.0000
0.9375 0.2264 0.5000
```

Principal peaks in the range 2θ from 10° to 90°, low angle first:
Position (°2θ)	intensity
17.34	43.5
20.05	25.9
23.53	23.6
34.31	100.0
42.69	68.6
43.27	36.6
46.40	37.7
47.00	39.2
65.81	29.8
79.02	20.1

***

No. 2
Starting from a cell relaxed with GGA-PBE, the XRD peak list of Rb2AgC3S3N3 was computed for a wavelength of 1.5418 Å.
Kinematic intensities with the Lorentz-polarization factor, no thermal factor.

Cell and atoms:
```
Rb2AgC3S3N3
1.0
9.2613 0.0000 0.0000
0.0000 15.9148 0.0000
-2.3431 0.0000 7.4303
Rb Ag C S N
8 4 12 12 12
Direct
0.1446 0.0057 0.3253
0.1446 0.4943 0.8253
0.3102 0.1566 0.9588
0.3102 0.3434 0.4588
0.6898 0.6566 0.5412
0.6898 0.8434 0.0412
0.8554 0.5057 0.1747
0.8554 0.9943 0.6747
0.2554 0.7409 0.2711
0.2554 0.7591 0.7711
0.7446 0.2409 0.2289
0.7446 0.2591 0.7289
0.0207 0.1894 0.5732
0.0207 0.3106 0.0732
0.2450 0.5474 0.3785
0.2450 0.9526 0.8785
0.4450 0.1513 0.4958
0.4450 0.3487 0.9958
0.5550 0.6513 0.0042
0.5550 0.8487 0.5042
0.7550 0.0474 0.1215
0.7550 0.4526 0.6215
0.9793 0.6894 0.9268
0.9793 0.8106 0.4268
0.0581 0.7167 0.4564
0.0581 0.7833 0.9564
0.3442 0.5893 0.2578
0.3442 0.9107 0.7578
0.4353 0.6365 0.8028
0.4353 0.8635 0.3028
0.5647 0.1365 0.6972
0.5647 0.3635 0.1972
0.6558 0.0893 0.2422
0.6558 0.4107 0.7422
0.9419 0.2167 0.0436
0.9419 0.2833 0.5436
0.0792 0.1223 0.5960
0.0792 0.3777 0.0960
0.1744 0.5154 0.4653
0.1744 0.9846 0.9653
0.3559 0.1608 0.3514
0.3559 0.3392 0.8514
0.6441 0.6608 0.1486
0.6441 0.8392 0.6486
0.8256 0.0154 0.0347
0.8256 0.4846 0.5347
0.9208 0.6223 0.9040
0.9208 0.8777 0.4040
```

Principal peaks in the range 2θ from 10° to 90°, low angle first:
Position (°2θ)	intensity
11.46	83.5
23.69	73.8
24.52	98.7
26.23	94.2
26.95	94.2
28.63	80.9
28.72	79.8
29.29	100.0
29.84	92.5
42.76	67.3

***

No. 3
Starting from a cell relaxed with GGA-PBE, the XRD peak list of PrDyTlNi2 was computed for a wavelength of 1.5418 Å.
Kinematic intensities with the Lorentz-polarization factor, no thermal factor.

Cell and atoms:
```
PrDyTlNi2
1.0
3.7504 0.0000 0.0000
0.0000 1.9879 7.3463
0.0000 -1.9879 7.3463
Pr Dy Tl Ni
1 1 1 2
Direct
0.0000 0.0000 0.0000
0.0000 0.7232 0.7232
0.5000 0.3577 0.3577
0.5000 0.1649 0.1649
0.5000 0.5696 0.5696
```
>>>

 var Q = require('q'); saveUser = function(user) { return Q.ninvoke(db.users,"save", user) .then(function(user){ console.log("User saved: %j", user); }) .catch(function(error){ console.log("Error while saving: %s", error); }); }; removeUser = function() { return Q.ninvoke(db.users,"remove", {sex: "male"}) .then(function(result){ console.log("User removed: %j", result); }) .catch(function(error){ console.log("Error while removing: %s", error); }); }; findUser = function() { return Q.ninvoke(db.users,"find", {sex: "male"}) .then(function(user){ console.log("User found: %j", user); }) .catch(function(error){ console.log("Error while finding: %s", error); }); }; updateUser = function() { return Q.ninvoke(db.users,"update", { email: "john@example.com" }, { $set: { password: "iReallyLoveMongo" } }) .then(function(user){ console.log("User updated: %j", user); }) .catch(function(error){ console.log("Error while updating: %s", error); }); }; 



 function read() { console.log(""); console.log(" Enter your choice: "); stdin = process.stdin; stdin.setEncoding('utf8'); stdin.on('data', choice); }; function choice (data) { data = parseInt(data); console.log("You entered: " + data); console.log("You choose to do: " + options[data]["option"]); options[data]["execute"]().then(function(){ console.log("Enter your choice: ") }); }; read(); 

请注意,在这种情况下,options [data] [“execute”]的执行是否使用promise。 承诺执行的成功保证您不会显示“直到完成其他任务时input您的select”。


 Enter your choice: 1 You entered: 1 You choose to do: Save a User User saved: [{"email":"john@example.com","password":"iLoveMongo","sex":"male","_id":"5388f57035a2eda13b7e4ea7"},{"n":0}] Enter your choice: 2 You entered: 2 You choose to do: Remove a User User removed: {"n":2} 


 function choice (data) { data = parseInt(data); console.log("You entered: " + data); console.log("You choose to do: " + options[data]["option"]); options[data]["execute"](); process.nextTick(function(){ console.log(""); console.log(" Enter your choice: "); }); }; 


 var readline = require('readline'); var rl = readline.createInterface({ input: process.stdin, output: process.stdout }); function choiceHandler(choice) { choice = parseInt(choice, 10); if (isNaN(choice)) console.log('Bad choice, try again'); else { console.log('You entered: ' + choice); console.log('You chose to do: ' + options[choice]['option']); } rl.prompt(); } console.log(''); rl.setPrompt(' Enter your choice: '); rl.on('line', choiceHandler); rl.prompt();